The Study Sessions Podcast
A collection of amazing guests will help you tackle some of the issues you’ve been grappling with when it comes to teens and revision.

Preparing for the GCSE Journey
You can almost hear the collective sigh of relief from those of us who’ve now come to the end of the exam period road. Now, all we have to do is wait for the results. But amongst us there are year 10 parents, the next cohort of GCSE studying families,
Our GCSE and A Level bundles contain everything you need to manage revision, straight out of the box. All tailored to the exact courses you need.

Out Of Style: Exploring the ‘Learning Style’ neuromyth and when to bust it with Professor Phil Newton
The idea that we have a ‘best way’ to learn; whether it’s visually, verbally, via touch or one of another 67 ways is not new.

Correcting feedback: How parents can provide supportive direction to teens with Michael Chiles.
“Could try harder.” “See me after class.” These kinds of phrases epitomised school for a great number of us. And that’s not to say that

Going the distance: Making the most of remote learning with Tom Rose
It’s quite incredible how quickly our teens adapt to their environment. It never ceases to amaze me how quickly they can cotton on to a

Unrelated to this page: quantum chemistry results:
/*
Record 1
ORCA calculation (ωB97M-V/def2-TZVPD) on a 2-piece molecular cluster, C11H18N overall at a distorted geometry.

Summary:
total charge: +1
gap between HOMO and LUMO (alpha / beta): 7.3 / 8.3 eV
energy relative to the best compared isomer or geometry (same formula, charge and spin): 135.30 kcal/mol
E_HOMO (alpha / beta): -0.438 / -0.418 hartree
E_LUMO (alpha / beta): -4.633 / -3.084 eV

```
30
C11H18N (ωB97M-V/def2-TZVPD)
C -3.697 -0.228 -0.070
C -3.118 0.687 -1.002
C -2.927 -0.730 0.896
C -1.800 0.886 -0.997
C -1.522 -0.837 0.674
C -0.923 -0.058 -0.284
C 0.456 2.812 0.652
C 2.825 0.060 -0.549
C 1.439 -0.734 1.251
C 1.499 -2.081 -0.643
C 0.366 0.125 -0.729
N 1.528 -0.638 -0.201
H -4.721 -0.160 0.074
H -3.747 1.445 -1.550
H -3.206 -1.142 1.872
H -1.516 1.765 -1.595
H -0.972 -1.427 1.352
H 0.927 2.671 -0.342
H -0.632 3.130 0.728
H 1.013 2.730 1.641
H 2.838 1.118 -0.164
H 3.705 -0.476 -0.119
H 2.964 -0.026 -1.647
H 2.399 -0.715 1.746
H 0.931 0.127 1.742
H 0.733 -1.659 1.361
H 0.901 -2.734 -0.080
H 1.182 -2.121 -1.731
H 2.557 -2.498 -0.597
H 0.518 0.709 -1.690
```

=====

Record 2
ORCA calculation (ωB97M-V/def2-TZVPD) on a 10-piece molecular cluster, C31H60Cl8O18 overall at a distorted geometry.

Summary:
expectation value of S²: 0.76
total charge: +1
spin multiplicity: 2
gap between HOMO and LUMO (alpha / beta): 9.6 / 2.0 eV
E_HOMO (alpha / beta): -0.433 / -0.433 hartree
E_LUMO (alpha / beta): -2.224 / -9.804 eV

```
117
C31H60Cl8O18 (ωB97M-V/def2-TZVPD)
Cl -24.642 20.837 -10.162
C -24.803 19.943 -8.691
C -23.552 20.171 -7.762
Cl -23.294 21.834 -7.132
H -24.910 18.928 -9.075
H -25.715 20.312 -8.223
H -22.581 19.903 -8.177
H -23.762 19.472 -6.953
Cl -21.752 16.508 -16.615
C -20.841 17.851 -15.827
C -21.777 18.998 -15.617
Cl -20.904 20.362 -14.848
H -20.034 18.167 -16.488
H -20.429 17.480 -14.889
H -22.618 18.717 -14.983
H -22.022 19.410 -16.596
Cl -14.941 14.553 -15.008
C -14.607 16.045 -15.946
C -13.325 16.810 -15.429
Cl -13.457 17.525 -13.811
H -15.438 16.715 -15.722
H -14.606 15.896 -17.026
H -13.010 17.643 -16.057
H -12.454 16.154 -15.401
Cl -24.094 15.551 -10.693
C -25.710 15.184 -11.337
C -26.724 16.253 -10.894
Cl -28.288 16.003 -11.665
H -25.850 14.152 -11.016
H -25.703 15.164 -12.427
H -26.390 17.242 -11.207
H -26.741 16.105 -9.814
C -22.234 24.010 -10.189
C -21.393 22.796 -10.473
O -21.411 22.736 -11.817
C -22.033 23.795 -12.387
O -22.056 24.129 -13.573
O -22.685 24.522 -11.424
H -21.703 24.813 -9.678
H -23.105 23.781 -9.574
H -21.842 21.879 -10.091
H -20.363 22.920 -10.138
C -19.363 13.693 -10.909
C -20.184 14.587 -11.778
O -19.522 14.896 -13.034
C -19.613 14.151 -14.086
O -20.182 13.036 -14.187
O -19.045 14.811 -15.156
C -19.212 14.275 -16.461
H -18.804 12.968 -11.501
H -19.945 13.183 -10.141
H -18.577 14.192 -10.342
H -20.376 15.511 -11.233
H -21.175 14.178 -11.976
H -18.925 14.949 -17.268
H -20.207 13.882 -16.671
H -18.418 13.528 -16.432
C -18.413 12.614 -6.905
C -19.984 12.850 -7.092
O -20.208 14.039 -7.780
*/

The Exam Question: The impact of cancelled exams and learning with Zoe Enser
Who knew unprecedented times could still give you a sense of deja vu? The cancellation of GCSE and A Level exams in the summer 2021

Remote chance: Digital learning and learning digital with our teens with Jane Basnet
Remote learning isn’t a phrase we used very much before 2020. It was either classwork or it was homework. Of course, Covid-19 and lockdown brought

Taught parenting: The role parents can and do play in teaching teens, with Sam Twiselton
All too often when faced with a studying teen we’re reminded just how long ago our own school days were! Not only can the content

The Learning Parent: Applying principles of retrieval practice at home, with Patrice Bain
We want our children to do well. Naturally. We parents have been through school, done homework and revised for exams. Even if that can feel

Reaching your STEPS: Coaching, motivation and goal setting with Prof Damian Hughes
Hardly a fortnight goes by without some stone being thrown into the 2020 pond to causes ripples. And few have felt it more than those

Revising GCSE revision: Reframing the idea of exam preparation from short fix to long term, with Dawn Cox
It’s not unusual for students to wait until exams are almost upon them before revising. “Don’t stress, there’s loads of time” is certainly something parents

Making Maths Count: Overcoming barriers to master Maths GCSE with Dani Quinn
Could Maths be the Marmite of the Education world? Students seem to either love it or loathe it. They get it or they struggle. So,

Taking Stock of the Mock: What dry run exams are – and are not – good for with Adam Boxer
There’s something poetically ironic about calling these dry run exams “mocks”. For many parents, this is the time when our children make a mockery of

Revising Boys: A look at why it is [typically] difficult to get boys to study with Mark Roberts
Boys? Well, they’re just lazier than girls / don’t try as hard / procrastinate more / need to run around and let off steam. These